-- Exercise --
Say how many lines of the calculation results below hold the word "as", as a bare number, please.
-- Input --
A geometry-optimized PuCoO5 structure. Source: the Alexandria database, functional GGA+U.

Values from the calculation:
total DFT energy (no corrections) = -7.962 eV/atom

Geometry as CIF:
```
data_PuCoO5
_chemical_formula_sum 'Pu4 Co4 O20'
_cell_length_a 5.369
_cell_length_b 10.066
_cell_length_c 7.101
_cell_angle_alpha 90.00
_cell_angle_beta 108.65
_cell_angle_gamma 90.00
_symmetry_space_group_name_H-M 'P 1 21/c 1'
_symmetry_Int_Tables_number 14
loop_
_symmetry_equiv_pos_as_xyz
'x,y,z'
'-x,-y,-z'
'-x,y+1/2,-z+1/2'
'x,-y+1/2,z+1/2'
loop_
_atom_site_label
_atom_site_type_symbol
_atom_site_fract_x
_atom_site_fract_y
-- Response --
1